Comment on It works for me for now. by Julin W

Hi Bethany, you do have great comments! You have brought up several good points.I love what you said that if we don’t know what to do, then first figure out what not to do. That is a much easiers start! As for trying out new things, I can imagine that whenever we try something new, however prepared we are, it will not be working well or definitely not perfect. But once tested, we will get much closer to the truth and the better.
I have never thought about the importance of keeping a certain level of personal relationship with the students before. I used to do that for the first time I was TAing, then I thought it was too time-consuming. Maybe it is not the problem of maintaining relationships, but a problem of not balancing the relationship and boundary. But thank you for the reminder, getting to know the students’ background could empower us to have a better understanding of the dynamics of our class. ?

Comment on It works for me for now. by Julin W

Hi Bethany, you do have great comments! You have brought up several good points.I love what you said that if we don’t know what to do, then first figure out what not to do. That is a much easiers start! As for trying out new things, I can imagine that whenever we try something new, however prepared we are, it will not be working well or definitely not perfect. But once tested, we will get much closer to the truth and the better.
I have never thought about the importance of keeping a certain level of personal relationship with the students before. I used to do that for the first time I was TAing, then I thought it was too time-consuming. Maybe it is not the problem of maintaining relationships, but a problem of not balancing the relationship and boundary. But thank you for the reminder, getting to know the students’ background could empower us to have a better understanding of the dynamics of our class. ?

Comment on I am me and I can be no one else. by Julin W

Hi Faith, thank you for sharing your insights. I am quite a beginner in teaching. Your post is very inspiring. It looks like you have experimented and balanced many aspects of teaching very well including flexibility and limits. That reminded me to not just focus on the rigid ways of teaching, but also the agility in interacting with a dynamic group of students.

Comment on 6:30 pm: will you give me an A+? by Julin W

Hi Carlos, you have a very interesting post here. I also think of it as a mindful and creative one. The timestamp thing is exactly what I would like to try to keep track of time, the productivity, and the progress of work. For assessment, I feel that maybe we should not blame the teachers for all the defects in education. Both the students and the teachers need to be better prepared to contribute to the learning environment and to behave less like a robot according to the rules and assessments. If we as the teachers are taught and trained to be a better educator, then the students need to be taught, trained and counseled to be better learners.

Comment on How should assessment be applied to large classes? by Julin W

Nice perspective, Grace. Massive classes are really tricky. Even the most motivated students can be discouraged to be fully engaged. These massive online open courses are more about reaching a larger audience and having a larger influence. It feels more like a training workshop, not a mindful learning environment and certainly not a learner-centered environment.

Comment on The “basics” have saved my life, more than once. by Julin W

Hi Brandon, you have made a good point about the basics. It makes me rethink what are the basics. When the lack of a solid foundation of certain knowledge, skills, and ability has very bad consequences, it means these are the basics. The basics form an initial conceptual framework, without which the mind has nothing to work with or to be mindful.

Comment on I can’t play because I might lose by Julin W

For the students, gamified education is a chance for better engagement and motivation and is worth a try. For the teachers, yes, not everything feels right to me as well when I read about gaming in education. Things might get out of control, and embedding knowledge in game designs are very time-consuming. I suppose that the field of gamification in education needs more theoretical and guiding framework for the teachers and more practical studies to summarize what works and what not. Or maybe we can try with a smaller piece, i.e. to set up a game module only for 1 week and see how it goes.

Comment on What do you want to be when you grow up? by Julin W

“Pursue graduate school as an extension of their indecision” describes so many confused college students. A good education system will not leave the young students in such vulnerable positions, protecting them from losing themselves to others’ sense of worth, and providing the freedom for them to build up their own.

As for passion and motivation, we only get motivated the most when it is about us, about what we relate to, and about what we feel really passionate about. Just like a mom will never miss any praising of her child. Good luck to all of us to find our own passion! ?

### Between two parts of the piece: data records
~~~
A 8-piece molecular cluster, C39H94O24S3 overall, computed with the ωB97M-V functional and the def2-TZVPD basis.

As for the total charge: 0. The calculation puts the LUMO energy at 0.0079 Ha. The value obtained for the maximum force is 4.642 eV/A. The SMILES is CCOS(C)(=O)=O.CCOS(C)(=O)=O.CCOS(C)(=O)=O.COCCOCCOC.COCCOCCOC.COCCOCCOC.COCCOCCOC.COCCOCCOC. As for the highest occupied orbital energy: -9.1488 eV.

The geometry in XYZ format:
```
160
C39H94O24S3 | OMol25 | the ωB97M-V functional and the def2-TZVPD basis
O 3.747 -3.985 7.986
S 3.859 -5.411 7.614
O 4.658 -6.367 8.429
O 2.411 -6.066 7.306
C 1.610 -6.386 8.446
C 1.804 -7.945 8.857
C 4.585 -5.567 5.891
H 0.621 -6.207 8.023
H 1.807 -5.783 9.332
H 2.802 -8.268 9.153
H 1.418 -8.534 8.025
H 1.087 -8.230 9.627
H 4.921 -6.558 5.586
H 5.521 -5.058 6.123
H 4.179 -4.869 5.158
O 9.120 1.536 -8.696
S 7.979 0.672 -9.145
O 8.110 0.125 -10.505
O 7.612 -0.512 -7.975
C 8.633 -0.656 -7.005
C 8.195 -1.933 -6.252
C 6.432 1.607 -9.017
H 8.542 0.281 -6.455
H 9.644 -0.621 -7.412
H 8.330 -2.839 -6.844
H 7.196 -1.710 -5.878
H 8.815 -1.984 -5.358
H 6.376 2.340 -9.822
H 6.439 2.118 -8.054
H 5.601 0.909 -9.106
O 0.804 -0.462 1.462
S 0.009 -0.143 0.242
O 0.029 1.136 -0.420
O 0.282 -1.428 -0.754
C 1.423 -1.481 -1.600
C 2.774 -0.862 -1.050
C -1.673 -0.694 0.776
H 1.182 -0.749 -2.370
H 1.470 -2.381 -2.214
H 3.133 -1.668 -0.409
H 2.692 -0.029 -0.352
H 3.581 -0.593 -1.731
H -2.192 -0.775 -0.179
H -2.023 0.025 1.516
H -1.526 -1.708 1.148
C 5.787 7.116 7.500
O 6.139 8.427 8.030
C 5.137 9.339 7.755
C 3.790 9.244 8.641
O 3.077 8.005 8.421
C 2.410 8.059 7.136
C 1.657 6.729 6.904
O 2.564 5.721 6.518
C 2.149 4.445 6.999
H 5.326 7.121 6.512
H 5.175 6.547 8.200
H 6.758 6.639 7.365
H 4.864 9.240 6.704
H 5.511 10.361 7.826
H 3.100 10.078 8.518
H 4.242 9.268 9.632
H 3.029 8.088 6.238
H 1.724 8.888 6.967
H 0.885 6.880 6.149
H 1.048 6.631 7.803
H 2.790 3.763 6.441
H 1.140 4.236 6.644
H 2.153 4.355 8.086
C -4.975 -2.596 -6.867
O -5.129 -2.552 -5.467
C -4.797 -1.416 -4.684
C -5.948 -0.426 -4.705
O -5.450 0.631 -3.918
C -6.331 1.720 -3.596
C -6.065 2.851 -4.716
O -4.893 3.595 -4.700
C -4.144 3.551 -3.513
H -5.563 -3.436 -7.236
H -3.957 -2.841 -7.169
H -5.424 -1.731 -7.357
H -3.823 -1.094 -5.051
H -4.626 -1.700 -3.645
H -6.749 -0.831 -4.087
H -6.113 -0.067 -5.721
H -6.186 2.204 -2.630
H -7.404 1.631 -3.766
H -6.771 3.677 -4.639
H -6.003 2.426 -5.718
H -3.867 2.642 -2.979
H -4.550 4.354 -2.898
H -3.229 4.097 -3.741
C -7.941 -0.392 7.569
O -9.133 -0.923 8.103
C -9.197 -0.987 9.571
C -9.512 0.402 10.184
O -8.250 0.809 10.904
C -8.288 2.048 11.522
C -8.938 3.316 10.916
O -10.307 3.206 10.566
C -10.797 4.255 9.747
H -7.866 0.693 7.640
H -7.670 -0.506 6.519
H -7.077 -0.824 8.074
H -8.322 -1.527 9.932
H -10.095 -1.544 9.838
H -10.373 0.394 10.853
H -9.792 1.121 9.415
H -7.281 2.435 11.682
H -8.779 1.869 12.479
H -8.413 3.557 9.991
H -8.876 4.192 11.561
H -11.062 5.153 10.306
H -11.619 3.793 9.200
H -10.116 4.581 8.961
C 0.354 -8.663 -1.178
~~~

Comment on Lessons from Music by Julin W

I almost failed history in middle school. It was so difficult to even be awake throughout any history class. The only time I enjoyed it is when the teacher decided to separate the class into two halves and let us defend different historical characters. I even remembered what I said, how the next student responded and what was the teacher’s comment. It turned out that the introduction part of history being imparted to me in such a boring way that I had never get to understand what history is about and I missed many fun parts!